Input:
~~~
The following is a DFT calculation (GGA-PBE) of a geometry-optimized LaBeP4 structure.

Values from the calculation:
**Density**: 4247 kg/m³
**Magnetic moment**: 0.00 μB per cell
**ΔE_f**: 0.101 eV/atom

Unit cell a=7.519 b=7.519 c=7.519 alpha=90.00 beta=90.00 gamma=90.00
Space group F-43m (No. 216)
One atom of each set of equivalent atoms:
La1 0.000 0.000 0.000
Be1 0.250 0.250 0.250
P1 0.112 0.112 0.612

=====

The following is a DFT calculation (GGA-PBE) of a geometry-optimized LaBeP2 structure.

Values from the calculation:
**Density**: 4654 kg/m³
**Magnetic moment**: 0.00 μB per cell
**ΔE_f**: -0.241 eV/atom

Unit cell a=6.292 b=6.107 c=3.898 alpha=90.00 beta=90.12 gamma=90.00
Space group C2/m (No. 12)
One atom of each set of equivalent atoms:
La1 0.000 0.000 0.000
Be1 0.000 0.500 0.000
P1 0.250 0.250 0.500

=====

The following is a DFT calculation (GGA-PBE) of a geometry-optimized LaBeP2 structure.

Values from the calculation:
**Density**: 4607 kg/m³
**Magnetic moment**: 0.00 μB per cell
**ΔE_f**: -0.066 eV/atom

Unit cell a=4.235 b=4.235 c=8.434 alpha=90.00 beta=90.00 gamma=90.00
Space group I4/mmm (No. 139)
One atom of each set of equivalent atoms:
La1 0.000 0.000 0.000
Be1 0.000 0.000 0.500
P1 0.000 0.500 0.250

=====

The following is a DFT calculation (GGA-PBE) of a geometry-optimized La2BePPd6 structure.

Values from the calculation:
**Density**: 8509 kg/m³
**Magnetic moment**: 0.00 μB per cell
**ΔE_f**: -0.731 eV/atom

Unit cell a=5.946 b=5.955 c=6.960 alpha=65.08 beta=64.89 gamma=60.25
Space group P-1 (No. 2)
One atom of each set of equivalent atoms:
La1 0.230 0.232 0.305
Be1 0.000 0.000 0.000
P1 0.500 0.500 0.500
Pd1 0.243 0.240 0.797
Pd2 0.244 0.715 0.801
Pd3 0.280 0.758 0.203

=====

The following is a DFT calculation (GGA-PBE) of a geometry-optimized La2BePPt6 structure.

Values from the calculation:
**Density**: 12802 kg/m³
**Magnetic moment**: 0.00 μB per cell
**ΔE_f**: -0.904 eV/atom

Unit cell a=11.666 b=5.608 c=7.758 alpha=90.00 beta=130.48 gamma=90.00
Space group C2/m (No. 12)
One atom of each set of equivalent atoms:
La1 0.239 0.000 0.199
Be1 0.000 0.500 0.000
P1 0.000 0.000 0.500
Pt1 0.010 0.255 0.263
Pt2 0.245 0.500 0.353

=====

The following is a DFT calculation (GGA-PBE) of a geometry-optimized La2PuBe2P4 structure.

Values from the calculation:
**Density**: 6130 kg/m³
**Magnetic moment**: 11.03 μB per cell
**ΔE_f**: -0.980 eV/atom

Unit cell a=14.612 b=3.857 c=6.824 alpha=90.00 beta=110.76 gamma=90.00
Space group C2/m (No. 12)
One atom of each set of equivalent atoms:
La1 0.135 0.000 0.069
Pu1 0.000 0.000 0.500
Be1 0.177 0.500 0.490
P1 0.029 0.500 0.241
P2 0.208 0.000 0.679

=====

The following is a DFT calculation (GGA-PBE) of a geometry-optimized LaBeP2S structure.

Values from the calculation:
**Energy relative to the elements, uncorrected**: 1.066 eV per atom
**Density**: 2340 kg/m³
**Magnetic moment**: 1.64 μB per cell
**Polymorph energy (0 for the lowest one)**: 1620.6 meV/atom

Unit cell a=5.644 b=5.644 c=5.389 alpha=90.00 beta=90.00 gamma=90.00
Space group P4/mmm (No. 123)
One atom of each set of equivalent atoms:
La1 0.000 0.000 0.000
Be1 0.500 0.500 0.500
P1 0.000 0.500 0.000
S1 0.000 0.000 0.500

=====

The following is a DFT calculation (GGA-PBE) of a geometry-optimized LaBeP2S structure.

Values from the calculation:
**Energy relative to the elements, uncorrected**: -0.555 eV per atom
**Density**: 4247 kg/m³
**Magnetic moment**: 0.00 μB per cell
**Polymorph energy (0 for the lowest one)**: 0.0 meV/atom

Unit cell a=4.180 b=4.180 c=5.415 alpha=90.00 beta=90.00 gamma=90.00
Space group P4/mmm (No. 123)
One atom of each set of equivalent atoms:
La1 0.000 0.000 0.000
Be1 0.500 0.500 0.500
P1 0.000 0.500 0.500
S1 0.500 0.500 0.000

=====

The following is a DFT calculation (GGA-PBE) of a geometry-optimized LaBe2PS structure.

Values from the calculation:
**Energy relative to the elements, uncorrected**: -0.080 eV per atom
**Density**: 3721 kg/m³
**Magnetic moment**: 0.00 μB per cell
~~~

To do:
It remains to echo every line earlier on that contains the word "Pt2".

Done:
Pt2 0.245 0.500 0.353